Capricorn Weekly Horoscope 6 - 12 May, 2024

During the week of May 6 - 12, you will have a favorable time for making decisions related to your future. This will be especially pressing if you need to take concrete action during these seven days.
It will be very important to protect yourself from illusions, from delusion or manipulative actions of people who only follow their own interest.
If you are involved in legal or court cases, you may expect developments this week, but they are unlikely to be finalised.
Various problems and troubles will still find a way to surprise you. Despite your attempts to avoid them or solve them in the fastest way, they will manage to create discomfort in your home or workplace.
The week portends moments of tension in your workplace related to an accident, conflicting client/colleague or an inadvertent mistake.
During the week, a health problem will require some kind of therapy or hospital treatment.
During the week, difficulties may arise regarding a financial expense related to a child or a member of your family.
• These calculated crystals were left in the page by mistake:
- - -
This record from Alexandria describes an optimized crystal structure of TaIBr4. The functional is PBE-GGA.

Cell lengths 5.750, 14.719, 7.053 Å; angles 90.00, 114.33, 90.00 degrees
Positions (direct):
Ta1 0.000 0.000 0.000
Ta2 0.000 0.500 0.500
I1 0.500 0.000 0.000
I2 0.500 0.500 0.500
Br1 0.137 0.121 0.270
Br2 0.137 0.379 0.770
Br3 0.140 0.618 0.777
Br4 0.140 0.882 0.277
Br5 0.860 0.118 0.723
Br6 0.860 0.382 0.223
Br7 0.863 0.621 0.230
Br8 0.863 0.879 0.730

Results
- Total magnetic moment: 0.000 μB per formula unit
- ΔE_f (raw): -0.690 eV/atom

This record from Alexandria describes an optimized crystal structure of KCaMg. The functional is PBE-GGA.

Cell lengths 6.089, 6.089, 3.757 Å; angles 90.00, 90.00, 120.00 degrees
Positions (direct):
K1 0.000 0.000 0.000
Ca1 0.333 0.667 0.637
Mg1 0.667 0.333 0.297

Results
- Total magnetic moment: 0.000 μB per formula unit
- DFT formation energy: 0.22 eV/atom

This record from Alexandria describes an optimized crystal structure of HoAl3Tc. The functional is PBE-GGA.

Cell lengths 6.697, 6.697, 6.697 Å; angles 128.67, 91.07, 110.88 degrees
Positions (direct):
Ho1 0.357 0.107 0.250
Ho2 0.643 0.893 0.750
Al1 0.197 0.447 0.750
Al2 0.208 0.000 0.708
Al3 0.208 0.500 0.208
Al4 0.792 0.000 0.292
Al5 0.792 0.500 0.792
Al6 0.803 0.553 0.250
Tc1 0.000 0.500 0.500
Tc2 0.500 0.500 0.000

Results
- Total magnetic moment: 0.000 μB per formula unit
- DFT formation energy: -0.25 eV/atom

This record from Alexandria describes an optimized crystal structure of PrTmRh. The functional is PBE-GGA.

Cell lengths 6.824, 6.824, 6.824 Å; angles 150.35, 150.35, 42.43 degrees
Positions (direct):
Pr1 0.000 0.000 0.000
Tm1 0.263 0.263 0.000
Rh1 0.649 0.649 0.000

Results
- Energy above the lowest structure with this stoichiometry: 96 meV/atom
- Total magnetic moment: 0.000 μB per formula unit
- DFT formation energy: -0.50 eV/atom

This record from Alexandria describes an optimized crystal structure of Rb2CaSn10. The functional is PBE-GGA.

Cell lengths 11.861, 12.734, 6.747 Å; angles 90.00, 90.00, 90.00 degrees
Positions (direct):
Rb1 0.182 0.079 0.000
Rb2 0.318 0.579 0.000
Rb3 0.682 0.421 0.000
Rb4 0.818 0.921 0.000
Ca1 0.000 0.500 0.500
Ca2 0.500 0.000 0.500
Sn1 0.025 0.201 0.500
Sn2 0.171 0.972 0.500
Sn3 0.174 0.340 0.237
Sn4 0.174 0.340 0.763
Sn5 0.202 0.691 0.500
Sn6 0.298 0.191 0.500
Sn7 0.326 0.840 0.237
Sn8 0.326 0.840 0.763
Sn9 0.329 0.472 0.500
Sn10 0.475 0.701 0.500
Sn11 0.525 0.299 0.500
Sn12 0.671 0.528 0.500
Sn13 0.674 0.160 0.237
Sn14 0.674 0.160 0.763
Sn15 0.702 0.809 0.500
Sn16 0.798 0.309 0.500
Sn17 0.826 0.660 0.237
Sn18 0.826 0.660 0.763
Sn19 0.829 0.028 0.500
Sn20 0.975 0.799 0.500

Results
- Total magnetic moment: 0.000 μB per formula unit
- DFT formation energy: -0.08 eV/atom

This record from Alexandria describes an optimized crystal structure of Ge5Pb3S12. The functional is PBE-GGA.

Cell lengths 13.497, 13.497, 13.497 Å; angles 109.47, 109.47, 109.47 degrees
Positions (direct):
Ge1 0.000 0.000 0.000
- - -
Boys and girls will empathize with various problems or events in the family or in their circle of relatives. This week brings various occasions for gathering or greater communication mostly with relatives. Each one of these seven days will have an important meaning for you and regardless of your age, you will have to show a practical and wise behavior. Do not ignore conversations in the family that are related to financial stability, with future plans, whether you have some direct involvement in them or they will be completely in the hands of your parents.
Men will have to organize their weekly tasks very well, because the probability of new, unplanned ones arising is too great. These unexpected changes should not drastically disrupt your daily plans and cause chaos in them. If you indulge in immature behavior, you will inevitably allow trouble to arise, which you will not enjoy dealing with at all.
Slight financial difficulties or the occurrence of unexpected monetary expenses are possible. Those of you who have a more developed intuition are unlikely to be surprised by any event this week.
Women will tend to seek entertainment, attention and pleasurable experiences with their current partner or outside the family. This will be a favorable week for looking for a new romantic relationship, for getting to know a new partner, including through specialized agencies or dating sites. Despite your desire for emotional and love experiences, you shouldn't let your guard down and inadvertently or over-trust someone who doesn't deserve you. For some of you, difficulties this week will be related to relationships within your home, especially if you are married.

Capricorn Weekly Horoscope 29 April - 5 May, 2024

During the week of April 29 - May 5, several unexpected or urgent commitments will arise, mostly of a banking or financial nature, including those related to paying household bills or other obligations. During these seven days, you will have to arrange various documents, plan or reorganize your personal or family budget, etc.
Many will have the opportunity for additional work, which will have a good effect on your income.
During the week you will attend a gathering or an event related to a relative or friend.
The week will bring you a lot of surprises that will cause various excitement. They do not portend major changes in your life, but as an emotion they will strongly affect you.
Now you will have to make an important decision and start planning an important upcoming change in your life: a new job, a new home, moving to your place of residence, starting a life together, realizing a personal project or work, etc.
The week heralds various meetings and conversations with relatives and friends, with colleagues and neighbors.
In love, you can expect emotional events, and they can bring you joy, but they can also be the cause of disappointment.
In general, this week will be very emotional, dynamic, with fast-moving events.
You will experience these seven days at high speed without having enough time to fully experience the emotions that are given to you.
Boys and girls will go through a highly energetic week in which it will be very important to seize the chances that life will give them. You will have absolutely all the resources to realize them, or at least an idea of where to find them. During this week, you can make bold plans for your future, search for the necessary information, create the necessary contacts or have useful conversations for you. A very good influence on affairs or on your life in general will come from close people. You may have unplanned experiences or encounters with your peers or with people younger than you.
Men will face some difficulties which are definitely surmountable if you face them with wisdom and practicality in decision and action. Avoid being influenced by the emotional advice of those around you. At this point you should be alone with yourself, with your own intuition and ideas about life. The week brings its small joys or pleasant experiences with loved ones. Success in almost every sphere of life is possible, and your plans can be realized in a relatively short time for you.
Women will go through a week where they will have various contacts or engagements with women. In most cases, they will live some distance from you and you don't necessarily know them personally. The week will favor travel, regardless of its purpose or duration. In general, you have a week of more contacts with people from different distances, different nationalities or religions. For some of you, the week brings an invitation to travel or to visit another populated place.